=====
Entry 1:
# PBE YSb2, relaxed
data_YSb2
_chemical_formula_sum 'Y2 Sb4'
_symmetry_space_group_name_H-M 'P 1'
_symmetry_Int_Tables_number 1
_cell_length_a 8.4526
_cell_length_b 8.4526
_cell_length_c 8.4526
_cell_angle_alpha 36.15
_cell_angle_beta 36.15
_cell_angle_gamma 36.15
loop_
_symmetry_equiv_pos_as_xyz
'x,y,z'
loop_
_atom_site_label
_atom_site_type_symbol
_atom_site_fract_x
_atom_site_fract_y
_atom_site_fract_z
_atom_site_occupancy
Y1 Y 0.0784 0.0784 0.0784 1
Y2 Y 0.9216 0.9216 0.9216 1
Sb1 Sb 0.2194 0.2194 0.2194 1
Sb2 Sb 0.3437 0.3437 0.3437 1
Sb3 Sb 0.6563 0.6563 0.6563 1
Sb4 Sb 0.7806 0.7806 0.7806 1
# E   -16.0 eV per formula unit
# Calculated volume   188 Å³/cell
# E_form (uncorrected)   -1.24 eV/f.u.

=====

Entry 2:
# PBE Pa6HgTe12, relaxed
data_Pa6HgTe12
_chemical_formula_sum 'Pa6 Hg1 Te12'
_symmetry_space_group_name_H-M 'P 1'
_symmetry_Int_Tables_number 1
_cell_length_a 9.1482
_cell_length_b 9.1482
_cell_length_c 9.1482
_cell_angle_alpha 105.14
_cell_angle_beta 105.14
_cell_angle_gamma 105.14
loop_
_symmetry_equiv_pos_as_xyz
'x,y,z'
loop_
_atom_site_label
_atom_site_type_symbol
_atom_site_fract_x
_atom_site_fract_y
_atom_site_fract_z
_atom_site_occupancy
Pa1 Pa 0.2639 0.2639 0.6704 1
Pa2 Pa 0.2639 0.6704 0.2639 1
Pa3 Pa 0.3296 0.7361 0.7361 1
Pa4 Pa 0.6704 0.2639 0.2639 1
Pa5 Pa 0.7361 0.3296 0.7361 1
Pa6 Pa 0.7361 0.7361 0.3296 1
Hg1 Hg 0.0000 0.0000 0.0000 1
Te1 Te 0.1263 0.5000 0.8737 1
Te2 Te 0.1263 0.8737 0.5000 1
Te3 Te 0.1732 0.4326 0.4326 1
Te4 Te 0.4326 0.1732 0.4326 1
Te5 Te 0.4326 0.4326 0.1732 1
Te6 Te 0.5000 0.1263 0.8737 1
Te7 Te 0.5000 0.8737 0.1263 1
Te8 Te 0.5674 0.5674 0.8268 1
Te9 Te 0.5674 0.8268 0.5674 1
Te10 Te 0.8268 0.5674 0.5674 1
Te11 Te 0.8737 0.1263 0.5000 1
Te12 Te 0.8737 0.5000 0.1263 1
# E   -107.5 eV per formula unit
# Calculated volume   667 Å³/cell
# E_form (uncorrected)   -12.47 eV/f.u.

=====

Entry 3:
# PBE NaPm2Tl3, relaxed
data_NaPm2Tl3
_chemical_formula_sum 'Na2 Pm4 Tl6'
_symmetry_space_group_name_H-M 'P 1'
_symmetry_Int_Tables_number 1
_cell_length_a 11.5915
_cell_length_b 11.5915
_cell_length_c 6.7803
_cell_angle_alpha 90.00
_cell_angle_beta 90.00
_cell_angle_gamma 155.52
loop_
_symmetry_equiv_pos_as_xyz
'x,y,z'
loop_
_atom_site_label
_atom_site_type_symbol
_atom_site_fract_x
_atom_site_fract_y
_atom_site_fract_z
_atom_site_occupancy
Na1 Na 0.1813 0.8187 0.7500 1
Na2 Na 0.8187 0.1813 0.2500 1
Pm1 Pm 0.3596 0.6404 0.7500 1
Pm2 Pm 0.4766 0.5234 0.2500 1
Pm3 Pm 0.5234 0.4766 0.7500 1
Pm4 Pm 0.6404 0.3596 0.2500 1
Tl1 Tl 0.0703 0.9297 0.0241 1
Tl2 Tl 0.0703 0.9297 0.4759 1
Tl3 Tl 0.2328 0.7672 0.2500 1
Tl4 Tl 0.7672 0.2328 0.7500 1
Tl5 Tl 0.9297 0.0703 0.5241 1
Tl6 Tl 0.9297 0.0703 0.9759 1
# E   -19.0 eV per formula unit
# Polymorph energy (0 for the lowest one)   0.129 eV per atom
# Calculated volume   378 Å³/cell
# Formation enthalpy at 0 K   -0.1747 eV per atom

=====

Entry 4:
# PBE AsIrPb3, relaxed
data_AsIrPb3
_chemical_formula_sum 'As1 Ir1 Pb3'
_symmetry_space_group_name_H-M 'P 1'
_symmetry_Int_Tables_number 1
_cell_length_a 5.2756
_cell_length_b 5.2756
_cell_length_c 5.2756
_cell_angle_alpha 90.00
_cell_angle_beta 90.00
_cell_angle_gamma 90.00
loop_
_symmetry_equiv_pos_as_xyz
'x,y,z'
loop_
_atom_site_label
_atom_site_type_symbol
_atom_site_fract_x
_atom_site_fract_y
_atom_site_fract_z
_atom_site_occupancy
As1 As 0.0000 0.0000 0.0000 1
Ir1 Ir 0.5000 0.5000 0.5000 1
Pb1 Pb 0.0000 0.5000 0.5000 1
Pb2 Pb 0.5000 0.0000 0.5000 1
Pb3 Pb 0.5000 0.5000 0.0000 1
# E   -23.1 eV per formula unit
# Polymorph energy (0 for the lowest one)   0.000 eV per atom
# Calculated volume   147 Å³/cell
# Formation enthalpy at 0 K   0.3131 eV per atom

----------

VASP calculation (meta-GGA SCAN) on a PBEsol-optimized structure of InSeS3.

Output
=====
Print the whole of the rows further up word for word.
Entry 1:
# PBE YSb2, relaxed
data_YSb2
_chemical_formula_sum 'Y2 Sb4'
_symmetry_space_group_name_H-M 'P 1'
_symmetry_Int_Tables_number 1
_cell_length_a 8.4526
_cell_length_b 8.4526
_cell_length_c 8.4526
_cell_angle_alpha 36.15
_cell_angle_beta 36.15
_cell_angle_gamma 36.15
loop_
_symmetry_equiv_pos_as_xyz
'x,y,z'
loop_
_atom_site_label
_atom_site_type_symbol
_atom_site_fract_x
_atom_site_fract_y
_atom_site_fract_z
_atom_site_occupancy
Y1 Y 0.0784 0.0784 0.0784 1
Y2 Y 0.9216 0.9216 0.9216 1
Sb1 Sb 0.2194 0.2194 0.2194 1
Sb2 Sb 0.3437 0.3437 0.3437 1
Sb3 Sb 0.6563 0.6563 0.6563 1
Sb4 Sb 0.7806 0.7806 0.7806 1
# E   -16.0 eV per formula unit
# Calculated volume   188 Å³/cell
# E_form (uncorrected)   -1.24 eV/f.u.

=====

Entry 2:
# PBE Pa6HgTe12, relaxed
data_Pa6HgTe12
_chemical_formula_sum 'Pa6 Hg1 Te12'
_symmetry_space_group_name_H-M 'P 1'
_symmetry_Int_Tables_number 1
_cell_length_a 9.1482
_cell_length_b 9.1482
_cell_length_c 9.1482
_cell_angle_alpha 105.14
_cell_angle_beta 105.14
_cell_angle_gamma 105.14
loop_
_symmetry_equiv_pos_as_xyz
'x,y,z'
loop_
_atom_site_label
_atom_site_type_symbol
_atom_site_fract_x
_atom_site_fract_y
_atom_site_fract_z
_atom_site_occupancy
Pa1 Pa 0.2639 0.2639 0.6704 1
Pa2 Pa 0.2639 0.6704 0.2639 1
Pa3 Pa 0.3296 0.7361 0.7361 1
Pa4 Pa 0.6704 0.2639 0.2639 1
Pa5 Pa 0.7361 0.3296 0.7361 1
Pa6 Pa 0.7361 0.7361 0.3296 1
Hg1 Hg 0.0000 0.0000 0.0000 1
Te1 Te 0.1263 0.5000 0.8737 1
Te2 Te 0.1263 0.8737 0.5000 1
Te3 Te 0.1732 0.4326 0.4326 1
Te4 Te 0.4326 0.1732 0.4326 1
Te5 Te 0.4326 0.4326 0.1732 1
Te6 Te 0.5000 0.1263 0.8737 1
Te7 Te 0.5000 0.8737 0.1263 1
Te8 Te 0.5674 0.5674 0.8268 1
Te9 Te 0.5674 0.8268 0.5674 1
Te10 Te 0.8268 0.5674 0.5674 1
Te11 Te 0.8737 0.1263 0.5000 1
Te12 Te 0.8737 0.5000 0.1263 1
# E   -107.5 eV per formula unit
# Calculated volume   667 Å³/cell
# E_form (uncorrected)   -12.47 eV/f.u.

=====

Entry 3:
# PBE NaPm2Tl3, relaxed
data_NaPm2Tl3
_chemical_formula_sum 'Na2 Pm4 Tl6'
_symmetry_space_group_name_H-M 'P 1'
_symmetry_Int_Tables_number 1
_cell_length_a 11.5915
_cell_length_b 11.5915
_cell_length_c 6.7803
_cell_angle_alpha 90.00
_cell_angle_beta 90.00
_cell_angle_gamma 155.52
loop_
_symmetry_equiv_pos_as_xyz
'x,y,z'
loop_
_atom_site_label
_atom_site_type_symbol
_atom_site_fract_x
_atom_site_fract_y
_atom_site_fract_z
_atom_site_occupancy
Na1 Na 0.1813 0.8187 0.7500 1
Na2 Na 0.8187 0.1813 0.2500 1
Pm1 Pm 0.3596 0.6404 0.7500 1
Pm2 Pm 0.4766 0.5234 0.2500 1
Pm3 Pm 0.5234 0.4766 0.7500 1
Pm4 Pm 0.6404 0.3596 0.2500 1
Tl1 Tl 0.0703 0.9297 0.0241 1
Tl2 Tl 0.0703 0.9297 0.4759 1
Tl3 Tl 0.2328 0.7672 0.2500 1
Tl4 Tl 0.7672 0.2328 0.7500 1
Tl5 Tl 0.9297 0.0703 0.5241 1
Tl6 Tl 0.9297 0.0703 0.9759 1
# E   -19.0 eV per formula unit
# Polymorph energy (0 for the lowest one)   0.129 eV per atom
# Calculated volume   378 Å³/cell
# Formation enthalpy at 0 K   -0.1747 eV per atom

=====

Entry 4:
# PBE AsIrPb3, relaxed
data_AsIrPb3
_chemical_formula_sum 'As1 Ir1 Pb3'
_symmetry_space_group_name_H-M 'P 1'
_symmetry_Int_Tables_number 1
_cell_length_a 5.2756
_cell_length_b 5.2756
_cell_length_c 5.2756
_cell_angle_alpha 90.00
_cell_angle_beta 90.00
_cell_angle_gamma 90.00
loop_
_symmetry_equiv_pos_as_xyz
'x,y,z'
loop_
_atom_site_label
_atom_site_type_symbol
_atom_site_fract_x
_atom_site_fract_y
_atom_site_fract_z
_atom_site_occupancy
As1 As 0.0000 0.0000 0.0000 1
Ir1 Ir 0.5000 0.5000 0.5000 1
Pb1 Pb 0.0000 0.5000 0.5000 1
Pb2 Pb 0.5000 0.0000 0.5000 1
Pb3 Pb 0.5000 0.5000 0.0000 1
# E   -23.1 eV per formula unit
# Polymorph energy (0 for the lowest one)   0.000 eV per atom
# Calculated volume   147 Å³/cell
# Formation enthalpy at 0 K   0.3131 eV per atom

----------

VASP calculation (meta-GGA SCAN) on a PBEsol-optimized structure of InSeS3.

Output